Schomberg (2) - Business and Companies
Total Results: 190
Fuse Electric
, Schomberg, ON L0G647-212-3873647-212-3873Construction -
Gaston's Auto Centre
PO Box 1418, New Liskeard, ON P0J 1P0705-647-4445705-647-4445Services -
George's Body Shop
400 Thorold Rd , Welland, ON L3C 3W6905-732-2225905-732-2225Services -
Georgetown Quik-Lube & Krown
21-354 Guelph St , Georgetown, ON L7G 4B5905-877-8220905-877-8220Services -
Grackle Coffee
208 Main Street , Schomberg, ON905-590-0069905-590-0069Accommodation and Food Services -
Hank's Autobody
PO Box 358, Dresden, ON N0P 1M0519-683-2011519-683-2011Services -
Harvest Treasures
7255 Hwy 9 RR 1 , Schomberg, ON905-939-8302905-939-8302Construction -
Hermanns Contracting Limited
PO Box 369, Schomberg, ON L0G 1T0905-939-1230905-939-1230Administrative and Support, Waste Management and Remediation Services -
Hitchman Stan Haulage
RR 1 , Schomberg, ON L0G 1T0905-939-7242905-939-7242Construction -
Hollander Landscaping Ltd
4962 2nd Line RR 1 , Schomberg, ON905-939-2784905-939-2784Administrative and Support, Waste Management and Remediation Services -
Hulse Glen Plumbing
5200 Hwy 9 RR 1 , Schomberg, ON905-939-2359905-939-2359Construction -
Huron Transmission & Krown
35587 Huron Rd , Goderich, ON N7A 3X8519-524-2501519-524-2501Services -
Hy-Way Collision
2919 Egremont Dr RR 5, Strathroy, ON N7G 3H6519-247-3307519-247-3307Services -
Jackson's Krown Body
B-22 Robb Blvd , Orangeville, ON L9W 3L2519-942-3591519-942-3591Services -
Jackson's Krown Rust Control
4896 Concession Road 5 , Alliston, ON L9R 1V1705-435-7182705-435-7182Services -
Japanese Used Auto Parts
17360 Highway 27 RR 1 , Schomberg, ON L0G 1T0905-939-2813905-939-2813Retail -
Jessica's Cleaning Services
, Schomberg, ON L0G 1T0647-878-8309647-878-8309Cleaning services -
JJ Meat Distribution Inc.
331 Wolverleigh Blvd , Toronto, ON M4C 1S5905-859-1540905-859-1540Manufacturer -
Jo-Anne's Hair & Necessities
Foodland Plaza, 17250 Highway 27 RR 1, Unit 3 , Schomberg, ON L0G 1T0905-939-1116905-939-1116Professional, Scientific & Technical Services -
King Tool & Die Ltd.
PO Box 179, Schomberg, ON L0G 1T0905-939-7396905-939-7396Manufacturer
Kingsway Paving & Interlocking
7285 Highway 9 , Schomberg, ON M4C 4K9905-856-1862905-856-1862Construction -
Kontiki Landscaping
15735 Hwy 27 , Schomberg, ON L0G 1T0905-939-8555905-939-8555Agriculture, Forestry, Fishing and Hunting, Professional, Scientific & Technical Services, Administrative and Support, Waste Management and Remediation Services -
Krown Ajax-Pickering
3-195 Westney Rd S , Ajax, ON L1S 2C9905-686-9029905-686-9029Services -
Krown Aurora
80B Dunning Ave , Aurora, ON L4G 0R2905-503-1647905-503-1647Services -
Krown Aylmer
1620 ch Pink , Aylmer, QC J9J 3N6819-684-3439819-684-3439Services -
Krown Belleville
115 North Front St , Belleville, ON K8P 3B5613-962-4481613-962-4481Services -
**Inserted here: records of molecules:**
~~~
Computed, not measured: C4H8AsCsF6O2S as an isolated structure, with ωB97M-V/def2-TZVPD.

Geometry as XYZ:
```
23
Properties=species:S:1:pos:R:3:forces:R:3
Cs -16.4704 11.3004 -13.8140 0.033 -0.229 -0.144
As -14.3186 5.8028 -18.6493 -1.522 -0.659 -0.454
F -15.7594 6.5715 -17.8365 1.295 -0.191 -0.719
F -15.5085 4.8674 -19.6435 1.366 0.865 0.605
F -12.9003 4.9946 -19.4511 -1.663 1.053 1.210
F -13.2799 6.7903 -17.5641 -0.676 -1.006 -1.113
F -14.5087 4.4966 -17.4517 0.888 0.978 -0.658
F -14.3315 7.0594 -19.9211 0.260 -0.860 1.291
C -18.4325 3.4318 -8.1384 -2.073 0.192 1.115
C -18.0714 2.5687 -9.2934 0.477 -0.641 -1.597
C -18.4702 3.2532 -10.6106 -1.206 0.012 0.566
S -19.6755 4.5639 -10.1319 0.644 -0.026 -3.539
O -20.8339 4.4645 -11.0518 1.228 0.116 2.227
O -18.9016 5.8123 -10.1927 -0.984 -0.802 1.045
C -19.8759 3.9327 -8.4483 -0.097 1.330 -0.576
H -17.7698 4.2773 -7.9535 -0.028 -0.172 0.082
H -18.6241 2.8113 -7.2630 0.832 0.169 0.364
H -18.6806 1.6650 -9.2748 0.130 -0.131 0.373
H -17.0328 2.2447 -9.3602 0.031 0.125 0.375
H -19.0956 2.5389 -11.1459 0.370 0.274 -0.594
H -17.6793 3.7053 -11.2092 -0.201 -0.048 0.095
H -20.6853 3.2028 -8.4587 0.411 -0.471 -0.204
H -20.2884 4.7593 -7.8698 0.484 0.120 0.250
```
Positions in Å, forces in eV/Å.

Summary:
**Total energy**: -96900.646 eV
**Energy above the lowest of the compared OMol25 structures with the same formula, charge and spin**: 3.802 eV
**Frontier orbital gap**: 8.217 eV
**M**: 441.99 g/mol

Computed, not measured: C4H5N2P as an isolated structure, with ωB97M-V/def2-TZVPD.

Geometry as XYZ:
```
12
Properties=species:S:1:pos:R:3:forces:R:3
C -1.0074 -0.3032 -2.5133 0.709 1.517 1.460
C 0.2743 0.4350 -0.0931 1.421 0.853 -0.689
C -0.5758 -0.7133 0.4689 0.148 1.769 1.466
C -0.7299 1.3045 -0.8137 -1.785 -0.216 1.397
N -1.4981 -1.0035 -3.2653 -1.013 -1.581 -1.670
N -1.9537 1.3262 -0.3292 1.524 1.140 -2.474
P -2.1856 0.1799 0.7662 -1.276 -2.581 2.772
H 0.8452 1.2296 0.5251 -0.920 -1.706 -0.039
H 1.0364 -0.0758 -0.7093 -0.201 0.921 -0.120
H -0.6780 -1.3941 -0.3677 0.074 -0.842 0.543
H -0.1978 -1.0179 1.4672 -0.204 -0.662 -0.978
H -0.6508 2.0833 -1.4863 1.523 1.388 -1.669
```
Positions in Å, forces in eV/Å.

Summary:
**Total energy**: -16491.626 eV
**Energy above the lowest of the compared OMol25 structures with the same formula, charge and spin**: 1.848 eV
**Frontier orbital gap (alpha / beta)**: 8.400 / 5.408 eV
**M**: 112.07 g/mol
**Multiplicity**: 3
**Expectation value of S²**: 2.012

Computed, not measured: a single C6H9NO2 molecule, with ωB97M-V/def2-TZVPD.

Geometry as XYZ:
```
18
Properties=species:S:1:pos:R:3:forces:R:3
C 0.3385 2.1888 0.8490 -0.833 -0.099 -2.528
C -0.3157 1.9386 -0.5921 0.589 0.296 1.454
C 0.1649 0.9755 -1.2959 2.555 -1.883 1.309
C 1.0928 0.0157 -1.2074 -3.955 -1.700 -0.623
C 0.8699 -1.4437 -0.7775 2.417 -0.445 -0.310
C -0.1313 -1.8687 0.1902 -2.562 2.656 0.511
O 0.0054 -2.7863 0.9366 0.314 -1.858 1.522
N -1.3105 -1.1460 0.1782 0.729 2.745 -2.031
~~~
Krown Body Maintenance Ltd.
801B Chelsea St , Brockville, ON K6V 7H2613-342-2800613-342-2800Services -
Krown Body Maintenance Ltd.
23 Laidlaw Blvd , Markham, ON L3P 1W5905-294-4202905-294-4202Services -
Krown Bowmanville
153 King St E , Bowmanville, ON L1C 1N9905-623-2615905-623-2615Services -
Krown Bracebridge
271 Ecclestone Dr , Bracebridge, ON P1L 1G4705-646-5755705-646-5755Services -
Krown Brampton
3-65 Rutherford Rd S , Brampton, ON L6W 3J3905-450-0474905-450-0474Services -
Krown Brownsville
163576 Brownsville Rd RR 1, Brownsville, ON N0L 1C0519-877-2258519-877-2258Services -
Krown Cambridge
18-131 Sheldon Dr , Cambridge, ON N1R 6S2519-740-2584519-740-2584Services -
Krown Cornwall
8 Sunnyside Ave , Cornwall, ON K6H 6N1613-933-8812613-933-8812Services -
Krown Etobicoke
1401 The Queensway , Etobicoke, ON M8Z 1T2416-503-0505416-503-0505Services -
Krown Fort Erie
1314 Garrison Rd , Fort Erie, ON L2A 1P1905-871-9800905-871-9800Services -
These calculated molecules were left in the page by mistake:
┌──
The following is a quantum chemistry calculation of one molecule with the formula C4H10N4O at a distorted geometry, from the OMol25 dataset.

energy above the lowest of the compared OMol25 structures with the same formula, charge and spin = 404.9 kJ/mol
Kohn-Sham gap (alpha / beta) = 8.6 / 8.6 eV
HOMO energy (alpha / beta) = -8.4 / -8.4 eV
SMILES string = CC(=O)CNN=C(N)N

```
! wB97M-V def2-TZVPD RIJCOSX def2/J DEFGRID3
* xyz 0 1
C -1.252 1.228 1.074
C -0.157 1.062 0.046
O -0.163 1.679 -1.032
C 1.392 0.992 0.771
N 2.057 -0.180 0.141
N 1.006 -0.993 0.457
C -0.041 -1.071 -0.415
N -1.068 -1.928 -0.040
N 0.111 -0.905 -1.775
H -1.064 0.604 1.949
H -2.207 0.969 0.611
H -1.299 2.278 1.368
H 1.414 0.947 1.858
H 1.822 1.915 0.379
H 2.107 -0.031 -0.874
H -1.179 -1.959 0.967
H -1.507 -2.530 -0.725
H 0.722 -1.405 -2.407
H -0.693 -0.674 -2.353
*
```


Here is a 3-piece molecular cluster, C7H9I2N2O4 overall from the Open Molecules 2025 dataset. Energies are from wB97M-V/def2-TZVPD.

Last column: Löwdin charge in e.
Geometry (Å):
C1 0.422 0.319 0.405  -0.277
C2 -1.236 1.023 -1.114  -0.852
C3 -0.704 3.858 -1.801  -0.471
C4 0.366 -2.409 -2.157  -0.157
C5 1.129 2.174 1.893  -0.065
C6 1.259 0.882 1.376  -0.171
C7 -0.120 -1.543 -1.008  -0.619
N1 -2.497 1.706 -1.281  0.099
N2 0.699 -0.830 -0.293  -0.038
O1 -1.714 4.217 -2.212  0.181
O2 -0.820 1.103 0.087  0.024
O3 -0.575 0.652 -2.081  0.004
O4 0.334 3.550 -1.441  0.229
I1 3.759 -1.918 -0.097  0.440
I2 -2.408 -1.651 -0.771  0.696
H1 0.811 -1.725 -2.882  0.072
H2 1.081 -3.116 -1.823  0.033
H3 -0.302 -2.926 -2.830  0.047
H4 0.485 3.000 1.563  0.014
H5 1.716 2.573 2.755  0.013
H6 2.068 0.290 1.671  0.048
H7 -3.155 1.826 -0.400  0.152
H8 -3.050 1.367 -2.023  0.051
H9 2.327 -1.416 -0.040  -0.453

HOMO: -0.088 hartree
Relative energy (zero: lowest compared OMol25 entry of this formula, charge and spin): 257.8 kJ/mol
HOMO-LUMO gap: 0.184 Eh
Charge: -1
└──
Here the page continues:
Krown Gatineau
3-813 boul Maloney E , Gatineau, QC J8P 1G5819-663-8871819-663-8871Services -
Krown Guelph - Div. of
4-549 Massey Rd , Guelph, ON N1K 1B3519-824-7770519-824-7770Services -
Krown Haliburton
8-130 Industrial Park Rd , Haliburton, ON K0M 1S0705-457-1033705-457-1033Services -
Krown Hamilton Downtown
366 Victoria Ave N , Hamilton, ON L8L 5G6905-525-0750905-525-0750Services